**Activity**
The reader should repeat every line further below that contains the word "PBE".

**File**
Material: MgMnSiO5
Method: DFT, PBE with a Hubbard U
State: optimized geometry

energy with MP2020 corrections = -123.806 eV per cell

Lattice parameters (Å, degrees): 5.2316 6.9317 5.2541 74.92 105.05 75.66
With the nearest neighbours (Å) after each atom.
Fractional coordinates of all 16 atoms:
Mg  0.3325  0.2364  0.1724  4 O 2.01-2.25
Mg  0.6685  0.7461  0.8311  3 O 2.02-2.21
Mn  0.9996  0.9938  0.5005  6 O 1.88-1.95
Mn  0.9992  0.4939  0.5005  6 O 1.88-1.95
Si  0.6803  0.2434  0.8201  4 O 1.64-1.65
Si  0.3180  0.7443  0.1805  4 O 1.64-1.65
O  0.9108  0.7426  0.5892  2 Mn 1.88-1.89, 1 Mg 2.02
O  0.0877  0.2449  0.4110  2 Mn 1.88, 1 Mg 2.01
O  0.6749  0.1165  0.5945  1 Si 1.65
O  0.9169  0.3622  0.8305  1 Si 1.64
O  0.3247  0.8715  0.4059  1 Si 1.65
O  0.0810  0.6261  0.1706  1 Si 1.64
O  0.6247  0.5730  0.2384  1 Si 1.64
O  0.2703  0.9098  0.8711  1 Si 1.64
O  0.3738  0.4150  0.7620  1 Si 1.64
O  0.7293  0.0772  0.1297  1 Si 1.64



Material: Fe2O3
Method: DFT, PBE with a Hubbard U
State: optimized geometry

energy with MP2020 corrections = -620.644 eV per cell

Lattice parameters (Å, degrees): 10.0222 10.8194 9.8212 90.88 93.31 95.47
With the nearest neighbours (Å) after each atom.
Fractional coordinates of all 80 atoms:
Fe  0.4145  0.7247  0.8755  4 O 1.86-2.00
Fe  0.5654  0.0468  0.6877  4 O 1.86-2.02
Fe  0.6971  0.8334  0.8198  5 O 1.95-2.03
Fe  0.9204  0.1629  0.4645  4 O 1.88-1.96
Fe  0.4874  0.3959  0.2269  5 O 1.92-2.04
Fe  0.4269  0.4515  0.5188  5 O 1.97-2.12
Fe  0.4647  0.9621  0.0371  4 O 1.88-1.94
Fe  0.6318  0.5363  0.0212  5 O 1.94-2.14
Fe  0.0867  0.7019  0.4840  5 O 1.93-2.12
Fe  0.1777  0.5134  0.6870  5 O 1.94-2.14
Fe  0.8773  0.7433  0.2241  6 O 1.99-2.22
Fe  0.3232  0.2502  0.7197  4 O 1.94-2.06
Fe  0.6920  0.3285  0.7041  3 O 1.88-1.94
Fe  0.1672  0.2902  0.3448  4 O 1.87-1.96
Fe  0.2605  0.4808  0.9814  5 O 1.95-2.07
Fe  0.2276  0.9534  0.7350  5 O 1.90-2.06
Fe  0.9182  0.1158  0.7611  3 O 1.89-2.07
Fe  0.6839  0.5902  0.7025  4 O 1.91-2.04
Fe  0.4166  0.7460  0.5592  4 O 1.92-1.97
Fe  0.1716  0.1755  0.9545  5 O 1.89-2.07
Fe  0.6043  0.6754  0.3253  4 O 1.91-1.99
Fe  0.0455  0.5194  0.2212  4 O 1.85-2.01
Fe  0.2884  0.7616  0.2253  4 O 2.07-2.26
Fe  0.6086  0.1103  0.3283  4 O 1.80-1.94
Fe  0.7625  0.0076  0.0511  3 O 1.85-1.98
Fe  0.9868  0.8539  0.9710  4 O 1.81-2.00
Fe  0.8139  0.3061  0.1697  4 O 1.86-1.97
Fe  0.9109  0.4488  0.4994  4 O 1.91-2.07
Fe  0.1438  0.9570  0.3891  4 O 1.88-1.96
Fe  0.3199  0.1215  0.2014  4 O 1.88-1.90
Fe  0.9297  0.5277  0.9246  4 O 1.85-2.03
Fe  0.7892  0.8620  0.5589  4 O 1.86-1.97
O  0.7440  0.4616  0.5824  3 Fe 1.92-1.97
O  0.8968  0.9074  0.1358  3 Fe 1.96-2.00
O  0.5137  0.6074  0.6096  3 Fe 1.91-2.00
O  0.7234  0.1656  0.7504  3 Fe 1.88-2.07
O  0.0070  0.3733  0.3415  3 Fe 1.91-2.07
O  0.7852  0.2008  0.3294  3 Fe 1.92-1.97
O  0.3694  0.8277  0.7263  3 Fe 1.91-2.06
O  0.3841  0.0840  0.7160  3 Fe 1.93-2.03
O  0.1996  0.5759  0.1374  2 Fe 1.85-1.99
O  0.0144  0.5746  0.6095  3 Fe 1.91-1.98
O  0.4801  0.2172  0.2600  3 Fe 1.88-1.96
O  0.5986  0.9605  0.9044  3 Fe 1.93-2.14
O  0.1417  0.8793  0.8849  2 Fe 1.81-1.90
O  0.9271  0.2889  0.5994  2 Fe 1.88-2.02
O  0.5016  0.3360  0.6585  3 Fe 1.94-2.06
O  0.2468  0.3714  0.5986  3 Fe 1.96-2.12
O  0.1370  0.1150  0.7592  3 Fe 2.02-2.19
O  0.9857  0.1900  0.9302  2 Fe 1.89, 1 O 2.06
O  0.7381  0.4752  0.8541  4 Fe 2.03-2.15
O  0.6116  0.9980  0.1729  3 Fe 1.94-1.98
O  0.3007  0.9698  0.2924  2 Fe 1.88
O  0.9259  0.4353  0.0874  3 Fe 1.89-1.93
O  0.8879  0.0211  0.5802  3 Fe 1.90-2.03
O  0.0883  0.7939  0.3024  2 Fe 1.96-2.06
O  0.6582  0.3895  0.1324  3 Fe 1.90-2.00
O  0.8100  0.7363  0.7000  3 Fe 1.93-2.03
O  0.3281  0.3929  0.3471  3 Fe 1.87-2.04
O  0.5750  0.0780  0.5028  2 Fe 1.80-1.86
O  0.9364  0.6849  0.0241  2 Fe 1.94
O  0.3915  0.7958  0.0487  3 Fe 1.88-2.09
O  0.8216  0.1745  0.0471  2 Fe 1.85-1.86, 1 O 2.06
O  0.2873  0.3154  0.8976  3 Fe 1.93-2.01
O  0.6032  0.6782  0.8766  4 Fe 1.95-2.18

**Solution**
Method: DFT, PBE with a Hubbard U
Method: DFT, PBE with a Hubbard U